Fourth rank tensors were introduced in specification of physical properties for several anisotropic media. A decomposition of these tensors into independent elementary tensors is undertaken, to offer valuable insight into the tensor structure. In an anisotropic material, the

elasticity symmetric tensor generally contains twenty-one non-zero distinct constants. When the material has some kind of symmetry, the number of these coefficients is reduced if the coordinate axes coincide with symmetry axes for the material.

In analyzing the mechanical properties of anisotropic linear elastic medium, a tensor of fourth rank is required to make up a linear constitutive relation between two symmetric second-rank tensors, each of which represents some directly detectable and measurable effect in the medium. The constitutive relation characterizing linear elastic anisotropic solids is the generalized Hook’s law as expressed in (1). Due to the symmetries in (2), the number of elastic coefficients is reduced from 81 to 21 which correspond to the most asymmetric elastic solid, namely, triclinic medium. The presence of symmetry in a medium reduces still further the number of independent elastic coefficients. For example, monoclinic symmetry medium (Tu. 1968) reduces the number of the non-vanishing independent elastic coefficients to 13, similarly, orthotropic to 9, hexagonal to 5, cubic to 3 and isotropic medium (the most symmetry) to 2 elastic coefficients.

The isotropic system has the well defined form invariant as following (Srinivasan, 1968):

C.., =A8 -8, +A8., 8. +A6. 8., (19)

ijkm 1 ij km 2 ik jm 3 im jk 4 ‘

where A1, A2 and A3 are constants, and later, Tu (Tu. 1968) has reduced the three tensors

into two basis elements. Following the same procedure presented in previous sections, the decomposition of C^m for the isotropic system is given in terms of the basis elements as:

C.., = I (C, T.k )T. k, (k = I, II)

ijkm k ijkm ijkm

k (20)

= (C, T^ )TI1 +(C, TI^

ijkm ijkm ijkm ijkm

where (C, Tk ) represents the inner product of C and the kth elements, Tk, of the v ijkm’ r r ijkm ijkm

basis, and

**Attached: data records:**
<<<
Record 1
{"formula": "In2AgW", "functional": "PBE-GGA", "state": "relaxed", "lattice_angstrom": [[-3.588, -2.408, -1.440], [-0.665, -0.649, 2.742], [-3.463, 4.849, 0.521]], "species": ["Ag", "W", "In", "In"], "frac_coords": [[0.500, 0.750, 0.750], [0.500, 0.250, 0.250], [0.000, 0.776, 0.015], [0.000, 0.724, 0.485]], "e_form_mev_per_atom": 535}

=====

Record 2
{"formula": "Pm2NdAs3Rh4", "functional": "PBE-GGA", "state": "relaxed", "lattice_angstrom": [[4.166, 0.000, 0.000], [0.000, 4.166, 0.000], [0.000, 0.000, 11.511]], "species": ["Pm", "Pm", "Nd", "As", "As", "As", "Rh", "Rh", "Rh", "Rh"], "frac_coords": [[0.500, 0.000, 0.220], [0.000, 0.500, 0.780], [0.500, 0.500, 0.500], [0.000, 0.000, 0.500], [0.500, 0.000, 0.874], [0.000, 0.500, 0.126], [0.500, 0.500, 0.000], [0.000, 0.000, 0.000], [0.500, 0.000, 0.665], [0.000, 0.500, 0.335]], "e_form_mev_per_atom": -911}

=====

Record 3
{"formula": "Ac6MgSe8", "functional": "PBE-GGA", "state": "relaxed", "lattice_angstrom": [[7.736, 0.314, 2.774], [2.053, 7.465, 2.774], [0.395, 0.314, 8.209]], "species": ["Ac", "Ac", "Ac", "Ac", "Ac", "Ac", "Mg", "Se", "Se", "Se", "Se", "Se", "Se", "Se", "Se"], "frac_coords": [[0.088, 0.468, 0.694], [0.306, 0.912, 0.532], [0.532, 0.306, 0.912], [0.468, 0.694, 0.088], [0.694, 0.088, 0.468], [0.912, 0.532, 0.306], [0.000, 0.000, 0.000], [0.174, 0.657, 0.914], [0.086, 0.826, 0.343], [0.343, 0.086, 0.826], [0.674, 0.674, 0.674], [0.326, 0.326, 0.326], [0.657, 0.914, 0.174], [0.914, 0.174, 0.657], [0.826, 0.343, 0.086]], "formation_energy_uncorrected_kj_per_mol_atoms": -169.63}

=====

Record 4
{"formula": "Sc2Se", "functional": "PBE-GGA", "state": "relaxed", "lattice_angstrom": [[1.740, -7.178, 0.000], [1.740, 7.178, 0.000], [0.000, 0.000, 5.084]], "species": ["Sc", "Sc", "Sc", "Sc", "Se", "Se"], "frac_coords": [[0.730, 0.270, 0.750], [0.426, 0.574, 0.750], [0.270, 0.730, 0.250], [0.574, 0.426, 0.250], [0.079, 0.921, 0.750], [0.921, 0.079, 0.250]], "formation_energy_uncorrected_kj_per_mol_atoms": -77.81}

=====

Record 5
{"formula": "NdHfCd2", "functional": "PBE-GGA", "state": "relaxed", "lattice_angstrom": [[3.558, 0.000, 0.000], [0.000, 3.558, 0.000], [0.000, 0.000, 7.767]], "species": ["Nd", "Hf", "Cd", "Cd"], "frac_coords": [[0.500, 0.500, 0.500], [0.500, 0.500, 0.000], [0.000, 0.000, 0.783], [0.000, 0.000, 0.217]], "e_form_mev_per_atom": -78}

=====

Record 6
{"formula": "HfBiOF2", "functional": "PBE-GGA", "state": "relaxed", "lattice_angstrom": [[-1.111, -2.161, 3.872], [0.395, -4.024, -2.132], [4.479, -0.186, 1.181]], "species": ["Hf", "Bi", "O", "F", "F"], "frac_coords": [[0.500, 0.500, 0.500], [0.000, 0.000, 0.000], [0.000, 0.000, 0.500], [0.000, 0.500, 0.000], [0.500, 0.000, 0.000]], "formation_energy_uncorrected_kj_per_mol_atoms": -62.16}

=====

Record 7
>>>

Fourth rank tensors were introduced in specification of physical properties for several anisotropic media. A decomposition of these tensors into independent elementary tensors is undertaken, to offer valuable insight into the tensor structure. In an anisotropic material, the







TII =–U8.8, (3(8., 8. + 8 8, )-28.8 )

ijkm 6>/5 ij km ik jm im jk ij km substituting these elements, then

C.., =—C 8.8 +

ijkm 9 ppqq ij km


—— (6C -2C )(3(8, 8 + 8 8, )-28.8 )

36(5) pqpq ppqq ik jm im jk’ ij km’

and in matrix form as:

Fourth rank tensors were introduced in specification of physical properties for several anisotropic media. A decomposition of these tensors into independent elementary tensors is undertaken, to offer valuable insight into the tensor structure. In an anisotropic material, the

1110 0 0 1110 0 0 1110 0 0 0 0 0 0 0 0 0 0 0 0 0 0 0 0 0 0 0 0




C = K pq v


+ 2G




Fourth rank tensors were introduced in specification of physical properties for several anisotropic media. A decomposition of these tensors into independent elementary tensors is undertaken, to offer valuable insight into the tensor structure. In an anisotropic material, the

K — c v 9 ppqq

1 1

G = (C _ _ c )

v 10 pqpq"3 ppqq

K^ and G^ are the well known Voigt average polycrystalline bulk and shear modulus,

respectively. Hence, the symmetric fourth rank elastic tensor of isotropic media is decomposed into two orthogonal terms. Equation (23) indicates that the isotropic symmetric fourth rank tensor, Cijkm, is a subset of the general symmetric fourth rank

elastic tensor, and decomposed into two terms, each of which has a distinct physical meaning, and the two terms are the same terms consisting the isotropic case. It is easily verified that the decomposed tensors form an orthogonal set, and their sum is the isotropic symmetric fourth rank tensor, C„km, which is identical to those found by Nye (Nye, 1959).

In fact, the above results are the same as those given in (Tu, 1968; Nye, 1959; Voigt, 1889; Radwan, 1991; Ikeda, 1990). Thus, it has been established that macroscopically isotropic elastic coefficients, which were obtained by W. Voigt, can be obtained directly from the procedure developed. Moreover, this procedure is valid for the most anisotropic triclinic elastic tensor.

Updated: October 10, 2015 — 3:23 am